Sunday, December 12, 2010

Exhausted but happy

I've had my ups and downs today but overall it was a great day. I got up, and after seeing the beautiful 138.8 on the scale, I had oatmeal (I even had the entire package!!!!) and tea before heading out to the mall. My sister and I talked on the phone for a bit, got some things cleared up and some we agreed to disagree on but oh well, that's life. At least we're talking now. Once at the mall I bought a bunch of books for family and friends (and one for myself. Its one that I borrowed from the library and just can't seem to read it so I figured I love this author anyways and may as well just buy it) and then went into the rest of the mall. I couldn't believe how busy it was at 10am right as they opened!!! I stayed out of the clothing stores except to buy Jan socks, and my old boss a scarf (she loves them!) and I even splurged and bought myself 2 (flannel ones. 2/$15!). Hit another store for my sisters stools and then to buy my Dad's camera.

I'm pretty much done!!! First time ever!!! I just have to find some sugar free stuff for my diabetic boss, and a friend who is diabetic, and some more yummy treats for those I work with. It feels so great to be not scrambling for Christmas!!! However, the baking mood persists.

I got home and ran off to the gym, getting there in time to run for 30 min on 5.2mph. Slowly but surely speeding up! Leg day with Shaun and he started me off with pure torture. 100 leg presses, no weight but at 60 I was waiting for him to let me stop! He joked that I was looking too stressed so his goal was to make me exhausted so I could work the stress out. By then I was already in a great mood, and we were talking bass guitars, good bass tunes to learn and sugar free cookies. I'm going to see if I can find a recipe tomorrow unless Steph emailed me the ones I loved last weekend. I told him about the tofu chocolate cake too and he looks as sketical as everyone else I tell. Seriously delicious and no sugar! Finished off with abs (fuck my lower abs hurt!!! They're sore from Thursdays core class, the TA's or something. He wanted to work the upper abs and did, but I certainly felt those lower ones!!! Good in a way as those are really week) and then I jumped on the eliptical for 25min.

Got home a bit late but made it to work on time. I was fine until I got stuck with some old deliveries and my one machine kept declining cards. I had a hissy fit (screaming and yelling at one of the managers) until Ryan came and found me to ask what was wrong. I vented then all was good. Went to my friends to check on her cats and I set the fucking house alarm off. I feel like a tool!!! I have to go back tomorrow morning (ugh!) so I have to read the instructions before hitting buttons this time!

I was doing so well. Had no desire to eat until right at the very end. There was some leftover wings. I ate 6 of the 10, and left a bunch of the meat back on the bones. I felt very full, but not sick and it was probably a good thing I did have something in my stomach as I headed over to another friends for a birthday party after. I said hello, mingled, then ran into Jen, who was very drunk. She gave me a beer and we chatted for a bit. There's something going on with her but she doesn't like to talk about shit. I hope her and her BF are still together and it's not that coz that would really be awful.

We had a good laugh, relaxed, and got to talk to a bunch of people outside of work. It was fun. I'm glad I stayed, despite the beer calories and wings.

I took Jen home and didn't have to work too hard to resist hitting a drive thru on the way home so I'm super stoked about that.

I'm also very very tired. I got home, made a hot chocolate and started trying to do an update for my iPhone that has refused to connect to the internet all day today. It's got about 10 min left and when I just stood up right now it felt like my legs were full of lead.

Tomorrow? Clean the house and I really want to go check out the local craft store, see what they've got for chocolate moulds/candy making. Also google those cookies. Gotta hit my friends house by 9am to shoot up her cats (they're diabetic kitty's !!! lol) so no late sleep in for me! Meeting up with Sheri from work at 6pm to do some price matching for the boxing day food we have to provide the staff. All in all, a busy day planned and not going to the gym. I think I'll need a break, but I want to try the spin class on Monday.

Misplaced data records.
********
A structure of composition C17H47AlF2NO9S7. Source: the Open Molecules 2025 dataset; level of theory: ωB97M-V with the def2-TZVPD basis set.

The geometry in XYZ format:
```
84
Properties=species:S:1:pos:R:3:forces:R:3:lowdin_charge:R:1
C -9.040 -1.373 -1.857 0.111 -0.041 -0.492 -0.249
Al -8.896 -3.187 -2.791 -0.583 0.739 -0.693 0.257
N -7.441 -4.184 -1.854 0.473 2.752 0.451 0.070
C -6.361 -3.288 -1.812 -0.601 -0.905 0.542 -0.594
O -5.533 -3.252 -0.956 0.865 0.048 0.605 0.105
F -6.236 -2.411 -2.819 -0.434 -0.539 -0.335 0.082
C -7.857 -4.474 -0.542 0.518 -1.076 -1.014 -0.598
O -8.174 -5.559 -0.197 -0.412 -0.493 0.602 0.136
F -7.945 -3.453 0.331 0.130 0.242 -0.202 0.100
H -8.771 -0.616 -2.625 -0.047 -0.300 0.386 -0.013
H -10.069 -1.124 -1.535 0.474 -0.182 0.103 -0.020
H -8.327 -1.255 -1.020 -0.428 0.067 -0.199 -0.017
H -10.260 -4.013 -2.814 -0.091 -0.292 0.351 -0.122
H -8.382 -3.048 -4.304 0.075 -0.056 -0.054 -0.105
C -1.073 -4.832 1.851 0.067 -0.037 0.128 -0.278
S -1.102 -3.389 0.772 -0.187 -0.003 -0.037 0.809
O -0.628 -2.220 1.574 -0.034 -0.114 0.051 -0.577
C -2.894 -3.285 0.666 0.074 0.048 0.079 -0.271
H -0.035 -5.063 2.086 0.004 0.056 -0.044 0.043
H -1.615 -4.616 2.772 -0.014 0.065 -0.038 0.056
H -1.526 -5.678 1.335 -0.004 0.045 -0.040 0.052
H -3.314 -3.172 1.666 0.065 0.003 0.017 0.067
H -3.285 -4.185 0.193 -0.012 0.065 -0.068 0.054
H -3.157 -2.421 0.062 0.006 -0.078 -0.064 0.038
C 0.127 2.483 1.039 -0.291 0.102 -0.143 -0.276
S -0.378 1.311 -0.228 -0.065 -0.075 0.264 0.839
O -0.845 2.106 -1.408 0.103 -0.011 0.351 -0.576
C -1.839 0.718 0.643 -0.112 0.088 0.020 -0.258
H 1.014 3.005 0.691 0.047 -0.101 0.043 0.027
H -0.673 3.204 1.220 -0.079 -0.072 -0.104 0.063
H 0.363 1.946 1.954 0.080 0.008 -0.038 0.039
H -2.512 1.551 0.847 0.071 0.072 -0.102 0.060
H -1.536 0.239 1.574 0.098 -0.092 -0.097 0.042
H -2.345 -0.011 0.013 0.084 0.010 -0.043 0.043
C 3.738 0.467 1.144 -0.311 0.050 0.018 -0.284
S 3.341 1.161 2.753 0.208 -0.073 -0.170 0.807
O 2.652 2.467 2.517 0.281 -0.009 0.142 -0.565
C 5.041 1.524 3.222 0.056 0.069 -0.054 -0.257
H 2.804 0.202 0.647 -0.054 0.044 0.101 0.046
H 4.273 1.204 0.546 0.045 0.015 0.076 0.063
H 4.347 -0.424 1.274 0.070 0.075 0.096 0.017
H 5.490 2.191 2.485 -0.096 -0.008 -0.050 0.060
H 5.606 0.594 3.284 -0.055 -0.012 0.056 0.062
H 5.035 2.007 4.196 -0.027 -0.051 -0.002 0.032
C 5.969 -1.414 -2.672 0.078 -0.012 -0.068 -0.261
S 5.171 -1.558 -1.066 0.075 -0.058 -0.121 0.808
O 6.127 -1.030 -0.050 0.072 -0.184 -0.156 -0.554
C 5.243 -3.355 -0.981 0.057 -0.093 -0.012 -0.261
H 6.066 -0.357 -2.912 -0.065 0.001 0.073 0.053
H 6.958 -1.872 -2.635 -0.020 -0.006 0.086 0.057
H 5.354 -1.903 -3.428 -0.043 0.025 0.034 0.055
H 6.279 -3.687 -1.054 0.013 0.081 0.010 0.057
H 4.651 -3.780 -1.792 -0.031 0.045 0.013 0.055
H 4.826 -3.668 -0.025 -0.020 0.090 -0.004 0.051
C -1.448 2.177 -6.396 0.080 0.051 -0.093 -0.278
S -2.583 1.748 -5.062 -0.091 0.089 0.086 0.814
O -3.935 2.231 -5.459 0.215 0.043 -0.049 -0.558
********

Wander- Thanks hun :) I felt so at the end of my rope last night but I do feel much better today. As for fucking it all up, I did that last week, and I swear it's like it's helped me drop more. That stupid metabolism getting a kickstart. You can do it too!!!!

Alba- Glad you like that quote. When I saw it years ago I saved it in an old scrap book as I felt like it fit me perfectly. It's one of my favourites :) I had to embrace who I am, it's the only way I could feel happy. I may go into that more someday as it's something that's been on my mind a lot lately. I will post ink pictures I was going to tonight but I'm just so tired!

Phones finished thank goodness. Now I get to wait while I get the million emails and alerts then bed!! It's 230am!!!!!

_Attached: molecular data_
1.
Density functional theory data (wB97M-V/def2-TZVPD) for the molecule C5H13N3 in a non-equilibrium geometry.

Structure (XYZ):
```
21
Properties=species:S:1:pos:R:3:forces:R:3:nbo_charge:R:1
C 1.378466 0.402714 1.760785 -0.75 0.92 -0.06 -0.65
C 1.149429 0.540981 0.273491 1.05 -1.37 -1.22 0.07
N 2.347981 0.910607 -0.407677 0.01 -0.34 0.07 -0.85
C 0.204666 -0.148902 -0.442916 0.43 1.06 -0.09 0.10
N 0.398911 -0.580998 -1.758965 0.03 0.83 0.40 -0.85
C -1.183509 -0.078905 0.090224 0.95 1.27 2.18 -0.08
C -1.842773 -1.443347 0.241349 -0.08 0.33 0.51 -0.62
N -2.101238 0.831675 -0.597670 0.04 -0.16 -0.31 -0.82
H 0.626339 -0.220327 2.236138 0.02 -0.05 0.03 0.22
H 2.361292 -0.033588 1.949811 -0.03 -0.06 -0.15 0.22
H 1.348039 1.387050 2.235564 0.15 -0.01 0.25 0.20
H 2.977199 1.453732 0.166506 -0.05 0.00 -0.15 0.37
H 2.172938 1.352089 -1.300216 0.04 0.10 0.06 0.37
H 1.348042 -0.865803 -1.955696 -0.32 -0.31 -0.29 0.39
H -0.385605 -1.058692 -2.180490 0.56 -0.11 -0.03 0.38
H -0.833765 0.583958 1.033472 -1.99 -2.13 -1.12 0.21
H -2.077261 -1.880619 -0.732325 0.02 0.10 -0.10 0.20
H -1.185196 -2.139404 0.759145 0.00 -0.02 0.07 0.21
H -2.779988 -1.341147 0.784206 -0.05 -0.10 0.04 0.22
H -1.730112 1.775644 -0.583612 0.03 -0.09 -0.10 0.36
H -2.193856 0.553283 -1.571125 -0.06 0.14 0.00 0.34
```
Positions in Å, forces in eV/Å.

Properties
- Frontier orbital gap: 0.2861 Ha
- Molar mass: 115.18 g mol⁻¹
- E_LUMO: 0.970 eV
- HOMO: -6.8153 eV
- SMILES string: C/C(N)=C(/N)[C@H](C)N

---

2.
Density functional theory data (wB97M-V/def2-TZVPD) for a structure of composition C18H44N6O8Y in a non-equilibrium geometry.

Structure (XYZ):
```
77
Properties=species:S:1:pos:R:3:forces:R:3:lowdin_charge:R:1
Y 0.336585 -1.092708 -0.089732 0.26 -2.95 0.36 1.44
O 0.454361 -2.882563 1.132051 -0.06 -0.34 0.49 -0.45
H 0.365775 -3.578439 1.812078 0.13 0.88 -0.90 -0.04
O 0.613019 -1.794535 -2.140287 0.01 0.58 -0.83 -0.45
H 0.958006 -1.874593 -3.050838 -0.26 0.03 1.17 -0.02
C 3.790612 -2.110888 -0.289533 -1.41 0.71 -0.01 -0.24
O 2.694469 -1.537629 -0.237280 1.71 -0.69 -0.16 -0.09
N 4.959048 -1.470348 -0.234994 1.43 -0.85 -0.91 -0.17
C 6.235822 -2.199858 -0.262856 -0.03 0.01 0.54 -0.04
C 5.094277 -0.061610 -0.095005 -0.57 1.05 1.29 -0.05
H 3.959684 -3.194038 -0.391502 -0.63 0.05 0.08 0.16
H 6.751099 -2.081281 0.690319 0.02 0.30 0.15 0.09
H 6.906758 -1.818102 -1.032403 -0.21 -0.03 -0.16 0.09
H 6.134258 -3.281423 -0.352192 -0.43 0.14 -0.38 0.09
H 4.117006 0.407577 0.018611 -0.04 -0.32 -0.09 0.06
H 5.595208 0.093007 0.860642 0.26 0.36 0.06 0.10
H 5.641738 0.497392 -0.853903 0.15 -0.57 -0.37 0.10
C 1.794809 0.053747 3.133186 -0.30 -0.11 -2.11 -0.26
O 1.585976 -0.263450 1.946339 0.57 0.42 2.30 -0.08
N 1.675668 1.303108 3.592672 -0.13 2.00 0.03 -0.15
C 1.843327 1.553508 5.022585 -0.90 0.13 0.86 -0.06
C 1.085606 2.381029 2.742648 0.76 -0.90 -1.13 0.00
H 2.112157 -0.610088 3.952215 0.07 -0.45 -0.48 0.15
H 2.077384 2.564947 5.354686 -0.30 0.44 -1.01 0.09

1 comment:

  1. tofu chocolate cake?! whaaat!? I am curious...I love tofu & I love chocolate cake, but the two together seems like a very weird mixture lol let me know how it turns out & the recipe if its good!

    I seriously wish I had your energy, how do you do it? coffee? uppers? running of mania? I must know!! lol
